Request:
Find "_cell_angle_beta 90.00" and "0.3251 0.7267" in the lines further below, and print these two lines and those between.

Contents:
-- begin --
Entry 1:
Here is a relaxed structure of SiO2 from Materials Project. Energies are from GGA-PBE.

```
data_SiO2
_symmetry_space_group_name_H-M 'P 63/m c m'
_symmetry_Int_Tables_number 193
_symmetry_space_group_name_Hall '-P 6c 2'
_cell_length_a 13.7768
_cell_length_b 13.7768
_cell_length_c 9.0348
_cell_angle_alpha 90.00
_cell_angle_beta 90.00
_cell_angle_gamma 120.00
loop_
_atom_site_label
_atom_site_type_symbol
_atom_site_fract_x
_atom_site_fract_y
_atom_site_fract_z
Si1 Si 0.1305 0.4611 0.0736
O1 O 0.0000 0.3690 0.0417
O2 O 0.1543 0.4787 0.2500
O3 O 0.1622 0.5811 0.0000
O4 O 0.2078 0.4156 0.0000
```

Crystal system: hexagonal
Calculated formation energy (eV per atom): -3.26

***

Entry 2:
Here is a relaxed structure of Ca2Sb2S5 from Materials Project. Energies are from GGA-PBE.

```
data_Ca2Sb2S5
_symmetry_space_group_name_H-M 'P 1 21/c 1'
_symmetry_Int_Tables_number 14
_symmetry_space_group_name_Hall '-P 2ybc'
_cell_length_a 15.208
_cell_length_b 5.738
_cell_length_c 11.438
_cell_angle_alpha 90.00
_cell_angle_beta 110.85
_cell_angle_gamma 90.00
loop_
_atom_site_label
_atom_site_type_symbol
_atom_site_fract_x
_atom_site_fract_y
_atom_site_fract_z
Ca1 Ca 0.107 0.224 0.307
Ca2 Ca 0.334 0.233 0.168
Sb1 Sb 0.125 0.739 0.574
Sb2 Sb 0.384 0.655 0.947
S1 S 0.096 0.727 0.276
S2 S 0.121 0.197 0.064
S3 S 0.299 0.734 0.159
S4 S 0.305 0.225 0.404
S5 S 0.500 0.010 0.653
```

Crystal system: monoclinic
Calculated formation energy (eV per atom): -1.37

***

| no. | E_tot (eV/atom) |
| --- | --- |
| 1 | -7.91 |
| 2 | -4.75 |

----------

Entry P
The following is a PBE calculation of a geometry-optimized Tm2Te5O13 structure, from the Materials Project.

a = 6.9512 Å, b = 8.7357 Å, c = 10.6956 Å
α = 89.00°, β = 87.12°, γ = 74.73°
Fractional coordinates of all 40 atoms:
Tm: 0.9999 0.2401 0.2400
Tm: 0.0001 0.7599 0.7600
Tm: 0.4479 0.9708 0.8203
Tm: 0.5521 0.0292 0.1797
Te: 0.1238 0.8515 0.1074
Te: 0.1575 0.3030 0.6406
Te: 0.2726 0.8942 0.4870
Te: 0.2900 0.3760 0.9761
Te: 0.4389 0.4028 0.3007
Te: 0.5611 0.5972 0.6993
Te: 0.7100 0.6240 0.0239
Te: 0.7274 0.1058 0.5130
Te: 0.8425 0.6970 0.3594
Te: 0.8762 0.1485 0.8926
O: 0.0424 0.8503 0.5675
O: 0.0562 0.3196 0.0407
O: 0.0663 0.5177 0.6892
O: 0.0670 0.7654 0.2779
O: 0.1278 0.9906 0.8953
O: 0.2344 0.9989 0.1875
O: 0.3141 0.2359 0.2847
O: 0.3251 0.7267 0.7772
O: 0.3334 0.2382 0.7736
O: 0.3395 0.0123 0.6189
O: 0.3489 0.4848 0.1235
O: 0.4628 0.6926 0.5189
O: 0.4680 0.1693 0.0007
O: 0.5320 0.8307 0.9993
O: 0.5372 0.3074 0.4811
O: 0.6511 0.5152 0.8765
O: 0.6605 0.9877 0.3811
O: 0.6666 0.7618 0.2264
O: 0.6749 0.2733 0.2228
O: 0.6859 0.7641 0.7153
O: 0.7656 0.0011 0.8125
O: 0.8722 0.0094 0.1047
O: 0.9330 0.2346 0.7221
O: 0.9337 0.4823 0.3108
O: 0.9438 0.6804 0.9593
O: 0.9576 0.1497 0.4325

---

Entry Q
The following is a PBE calculation of a geometry-optimized Tm2Te5O13 structure, from the Materials Project.

Values from the calculation:
* magnetization: 0.00 μB per cell

a = 6.9512 Å, b = 8.7357 Å, c = 10.6956 Å
α = 89.00°, β = 87.12°, γ = 74.73°
Fractional coordinates of all 40 atoms:
Tm: 0.0000 0.0000 0.0000
Tm: 0.0017 0.4760 0.4870
Tm: 0.4358 0.2104 0.0670
Tm: 0.5460 0.2619 0.4197
Te: 0.1141 0.0925 0.3617
Te: 0.1510 0.5431 0.8918
Te: 0.2648 0.1279 0.7425
Te: 0.2931 0.6144 0.2223
Te: 0.4468 0.6360 0.5433
Te: 0.5582 0.8391 0.9492
Te: 0.7065 0.8671 0.2736
Te: 0.7160 0.3464 0.7603
Te: 0.8366 0.9236 0.5995
Te: 0.8790 0.3829 0.1355
O: 0.0331 0.0932 0.8126
O: 0.0491 0.5460 0.2881
O: 0.0578 0.0063 0.5259
O: 0.0689 0.7449 0.9344
O: 0.1238 0.2194 0.1340
O: 0.2225 0.2428 0.4291
O: 0.3153 0.4651 0.5277
O: 0.3274 0.9584 0.0285
O: 0.3367 0.2466 0.8685
O: 0.3375 0.4736 0.0240
O: 0.3396 0.7238 0.3718
O: 0.4570 0.9283 0.7665
O: 0.4619 0.4128 0.2428
O: 0.5191 0.0610 0.2482
O: 0.5362 0.5428 0.7304
O: 0.6427 0.7461 0.1210
O: 0.6476 0.2210 0.6273
O: 0.6576 0.9933 0.4696
O: 0.6714 0.5091 0.4730
O: 0.6810 0.0016 0.9677
O: 0.7546 0.2441 0.0650
O: 0.8741 0.2421 0.3490
O: 0.9193 0.4653 0.9643
O: 0.9303 0.7120 0.5521
-- stop --

Worked solution:
_cell_angle_beta 90.00
_cell_angle_gamma 120.00
loop_
_atom_site_label
_atom_site_type_symbol
_atom_site_fract_x
_atom_site_fract_y
_atom_site_fract_z
Si1 Si 0.1305 0.4611 0.0736
O1 O 0.0000 0.3690 0.0417
O2 O 0.1543 0.4787 0.2500
O3 O 0.1622 0.5811 0.0000
O4 O 0.2078 0.4156 0.0000
```

Crystal system: hexagonal
Calculated formation energy (eV per atom): -3.26

***

Entry 2:
Here is a relaxed structure of Ca2Sb2S5 from Materials Project. Energies are from GGA-PBE.

```
data_Ca2Sb2S5
_symmetry_space_group_name_H-M 'P 1 21/c 1'
_symmetry_Int_Tables_number 14
_symmetry_space_group_name_Hall '-P 2ybc'
_cell_length_a 15.208
_cell_length_b 5.738
_cell_length_c 11.438
_cell_angle_alpha 90.00
_cell_angle_beta 110.85
_cell_angle_gamma 90.00
loop_
_atom_site_label
_atom_site_type_symbol
_atom_site_fract_x
_atom_site_fract_y
_atom_site_fract_z
Ca1 Ca 0.107 0.224 0.307
Ca2 Ca 0.334 0.233 0.168
Sb1 Sb 0.125 0.739 0.574
Sb2 Sb 0.384 0.655 0.947
S1 S 0.096 0.727 0.276
S2 S 0.121 0.197 0.064
S3 S 0.299 0.734 0.159
S4 S 0.305 0.225 0.404
S5 S 0.500 0.010 0.653
```

Crystal system: monoclinic
Calculated formation energy (eV per atom): -1.37

***

| no. | E_tot (eV/atom) |
| --- | --- |
| 1 | -7.91 |
| 2 | -4.75 |

----------

Entry P
The following is a PBE calculation of a geometry-optimized Tm2Te5O13 structure, from the Materials Project.

a = 6.9512 Å, b = 8.7357 Å, c = 10.6956 Å
α = 89.00°, β = 87.12°, γ = 74.73°
Fractional coordinates of all 40 atoms:
Tm: 0.9999 0.2401 0.2400
Tm: 0.0001 0.7599 0.7600
Tm: 0.4479 0.9708 0.8203
Tm: 0.5521 0.0292 0.1797
Te: 0.1238 0.8515 0.1074
Te: 0.1575 0.3030 0.6406
Te: 0.2726 0.8942 0.4870
Te: 0.2900 0.3760 0.9761
Te: 0.4389 0.4028 0.3007
Te: 0.5611 0.5972 0.6993
Te: 0.7100 0.6240 0.0239
Te: 0.7274 0.1058 0.5130
Te: 0.8425 0.6970 0.3594
Te: 0.8762 0.1485 0.8926
O: 0.0424 0.8503 0.5675
O: 0.0562 0.3196 0.0407
O: 0.0663 0.5177 0.6892
O: 0.0670 0.7654 0.2779
O: 0.1278 0.9906 0.8953
O: 0.2344 0.9989 0.1875
O: 0.3141 0.2359 0.2847
O: 0.3251 0.7267 0.7772